Before The Flop In Poker

But here’s what they don’t tell you: Your poker strategy before the flop is far more important. The decisions you make with your starting hands are like seeds planted in the ground; do it right, and you’ll reap a rich harvest. Do it wrong, and your bankroll could wither.
In this poker strategy article we discuss when a player might consider folding a ‘monster hand’ preflop in a game of No Limit Hold’em (NLHE) poker. Why might a poker player do such a thing? Let’s discuss…
There’s an old saying in poker, coined by the inimitable Kenny Rogers, that you’ve got to know when to hold’em and know when to fold ’em. The old Texan was way ahead of his time when it comes to No Limit Hold’em poker strategy. Making successful laydowns at the poker table is as crucial a skill as any that you will ever learn. However, it’s not easy to fold big hands pre-flop, even when the evidence that you are beat is overwhelming. After all, you might have been waiting all day to be dealt something good – but if you’re behind it doesn’t matter what has occurred before, you still need to let it go and lose the minimum.
So, how can you tell if you should fold a strong hand? There are many different elements that go into making the correct decision – and it’s important to consider all of them. When you get dealt a strong hand like pocket Jacks or Ace-Queen, the immediate expectation is that you should play aggressively and give yourself the opportunity to win a big pot. This means opening with a raise, or putting in a re-raise (three-bet) if someone has opened before you. But what do you do when you face aggression by another player who raises again? It’s completely dependent on the state of the game and who that opponent is.
_Quantum chemistry results, kept here for reference_
'''
{"formula": "C26H46O2P2Pt", "method": "wB97M-V/def2-TZVPD", "de_lowest_ev": 0.000, "s2": 6.009, "max_force_ev_per_a": 3.1, "total_charge": 2, "homo_energy_ev": [-12.8398, -13.4902], "spin_multiplicity": 5, "orbital_gap_ev": [7.80, 4.16], "e_lumo_ev": [-5.0, -9.3], "symbols": ["Pt", "C", "C", "C", "C", "C", "C", "H", "H", "H", "C", "H", "H", "H", "C", "H", "H", "H", "C", "H", "H", "H", "C", "H", "H", "H", "C", "C", "C", "C", "C", "C", "C", "C", "H", "H", "H", "H", "H", "H", "H", "H", "H", "H", "H", "H", "P", "P", "C", "C", "H", "H", "H", "H", "C", "H", "H", "H", "C", "H", "H", "H", "C", "H", "H", "H", "C", "H", "H", "H", "C", "O", "C", "O", "H", "H", "H"], "xyz": [[-0.69473, 1.41640, 0.81767], [-2.41962, 2.26199, -1.05077], [-3.27780, 1.13830, -0.98673], [-3.18265, 2.01647, 1.16209], [-2.25467, 2.81856, 0.31655], [-3.74288, 0.99245, 0.34912], [-1.91693, 2.94727, -2.26411], [-1.70684, 2.24383, -3.08638], [-0.99931, 3.50562, -2.02612], [-2.65496, 3.67444, -2.64982], [-1.90818, 4.23046, 0.59481], [-1.04636, 4.53780, 0.00157], [-1.67618, 4.36021, 1.65000], [-2.75646, 4.86923, 0.32951], [-3.64235, 2.45593, 2.49561], [-4.56986, 3.04227, 2.39688], [-2.88660, 3.09109, 2.97105], [-3.86770, 1.61372, 3.16672], [-4.80668, 0.05972, 0.79202], [-5.79870, 0.51746, 0.66696], [-4.69045, -0.18763, 1.85770], [-4.80808, -0.87245, 0.20648], [-3.75889, 0.35157, -2.15316], [-4.75626, 0.67320, -2.47684], [-3.82559, -0.71363, -1.90596], [-3.07382, 0.47487, -3.00220], [4.28619, -1.76098, -1.91331], [3.60344, -1.81234, -3.06504], [3.31655, -3.07103, -3.83382], [2.97403, -4.34084, -3.01456], [2.07119, -4.09592, -1.83250], [2.45954, -3.79249, -0.59176], [3.86959, -3.56116, -0.13894], [4.84918, -2.94507, -1.17316], [4.17471, -3.31738, -4.48785], [3.89606, -4.87083, -2.73731], [2.46223, -2.88018, -4.50252], [5.22714, -3.73069, -1.84255], [4.54198, -0.78533, -1.48860], [3.34353, -0.88223, -3.57684], [5.72079, -2.59181, -0.59744], [3.84551, -2.88102, 0.72962], [1.71042, -3.80224, 0.21009], [4.30481, -4.51284, 0.21837], [2.43317, -5.00680, -3.70431], [1.00503, -4.24625, -2.03609], [0.99159, 0.61470, -0.39097], [-0.63227, -0.61076, 1.86379], [1.72694, -0.83056, 0.41812], [1.09293, -1.21725, 1.77292], [2.79973, -0.61521, 0.52595], [1.62982, -1.65200, -0.30280], [1.08479, -2.30954, 1.91046], [1.64660, -0.77308, 2.61465], [-1.31115, -0.58122, 3.52951], [-2.40630, -0.47588, 3.43503], [-0.92081, 0.28636, 4.08514], [-1.08023, -1.51180, 4.07024], [-1.65716, -1.82216, 0.96170], [-1.35812, -2.84364, 1.24492], [-1.56570, -1.68997, -0.12811], [-2.70399, -1.64807, 1.25551], [2.27177, 1.84643, -0.60515], [1.84344, 2.66954, -1.19751], [3.12533, 1.39758, -1.13071], [2.55431, 2.22556, 0.38971], [0.37990, 0.11807, -2.03292], [-0.54563, -0.48007, -1.94612], [1.16149, -0.46570, -2.54945], [0.14470, 1.03919, -2.59396], [0.17474, 3.63046, 4.27882], [-0.55018, 3.08293, 3.16685], [0.25056, 2.36818, 2.34164], [1.46098, 2.31004, 2.55483], [-0.57229, 4.19990, 4.82627], [0.99570, 4.27734, 3.93729], [0.59595, 2.82895, 4.90021]], "mulliken_spin": [0.8549, 0.4979, 0.2341, 0.3766, 0.4005, 0.3219, 0.0239, 0.0098, 0.0056, 0.0240, -0.0897, 0.0257, 0.0049, 0.0340, 0.0577, 0.0213, 0.0005, 0.0066, -0.0100, 0.0286, 0.0039, 0.0044, -0.0477, 0.0281, 0.0136, -0.0021, 0.0028, 0.0015, 0.0008, -0.0003, 0.0006, 0.0010, 0.0011, -0.0006, 0.0000, 0.0001, 0.0002, 0.0001, -0.0008, -0.0025, 0.0000, -0.0006, 0.0002, -0.0001, 0.0000, 0.0000, 0.2463, 0.2693, -0.0083, 0.0349, 0.0049, 0.0060, 0.0045, -0.0014, 0.0205, -0.0093, -0.0015, 0.0143, 0.0350, 0.0111, -0.0011, -0.0108, 0.0184, -0.0009, 0.0162, 0.0043, 0.0465, -0.0109, 0.0302, -0.0089, 0.0183, 0.0522, 0.2941, 0.0890, 0.0025, 0.0010, 0.0016]}
'''
_So much for the quantum chemistry results_
What Is Before The Flop In Poker
Given that modern poker strategy prescribes aggressive pre-flop play from the blinds, raising too many hands on the button can cause you to be exploitatively 3-bet by players in blinds. A leak such as this one can slowly but continuously damage your win rate, so be cautious to not over-raise from the button. Before the flop is where it all starts, where you are forced to make your first important decision depending on all of the variables involved with the hand. It is important to make good, solid decisions before the flop, as it will form the foundations for how the rest of the hand will be played out.
If, for example, you are in the early stages of a tournament there’s a strong possibility that the player you’re up against has a really strong hand. That’s because, unlike later in the tournament where blinds and antes are much bigger, there is no real reason for them to go after you and get out of line. In this instance, you certainly shouldn’t get carried away with your hand and look to get all-in before the flop. It would be much better just to call and get more information depending on what cards come on the flop, or even just to fold and wait for a better situation in a more important stage of the tournament.
There’s nothing in poker quite like scooping a big pot on the river. People are all-in, there’s a pile of money on the table – these are the situations that get played over and over again on the TV shows. But here’s what they don’t tell you: Your poker strategy before the flop is far more important. The decisions you make with your starting hands are like seeds planted in the ground; do it right, and you’ll reap a rich harvest. Do it wrong, and your bankroll could wither.
Here the page breaks off for quantum chemistry results >
┌──
Formula: C6H10O
Source: OMol25
Level of theory: ωB97M-V with the def2-TZVPD basis set

Properties
- Orbital gap: 10.1154 eV
- Structure (SMILES): C[C@H]1CC=C[C@H]1O
- ΔE to the lowest compared entry with this formula, charge and spin: 1.7839 eV
- LUMO level: 0.91 eV

XYZ file:
```
17
C6H10O | OMol25 | ωB97M-V with the def2-TZVPD basis set
C 2.186 -0.240 0.163
C 0.641 -0.096 0.434
C 0.235 1.165 -0.321
C -1.254 1.246 -0.304
C -1.821 0.074 -0.052
C -0.866 -1.031 0.342
O -1.224 -2.233 -0.339
H 2.463 -0.129 -0.894
H 2.688 0.617 0.660
H 2.686 -1.128 0.556
H 0.588 0.047 1.520
H 0.508 0.957 -1.363
H 0.759 2.086 -0.041
H -1.789 2.146 -0.582
H -2.882 -0.113 -0.233
H -0.953 -1.306 1.395
H -1.966 -2.062 -0.942
```



Formula: C6H11NO3S
Source: OMol25
Level of theory: ωB97M-V with the def2-TZVPD basis set

Properties
- Orbital gap: 10.4878 eV
- Structure (SMILES): COC[C@](C)(C#N)S(C)(=O)=O
- ΔE to the lowest compared entry with this formula, charge and spin: 4.0295 eV
- LUMO level: 0.50 eV

XYZ file:
```
22
C6H11NO3S | OMol25 | ωB97M-V with the def2-TZVPD basis set
C -0.651 1.452 -2.379
O -0.372 1.876 -1.090
C -0.643 1.121 -0.077
C 0.676 -0.041 0.073
C 1.997 0.611 0.325
C 0.680 -0.954 -0.932
N 0.473 -1.736 -1.728
S 0.200 -0.872 1.619
C -1.188 -2.023 1.591
O 1.402 -1.632 1.965
O -0.119 0.173 2.590
H -0.756 2.318 -2.981
H -1.804 1.147 -2.392
H -0.121 0.661 -2.883
H -0.878 1.678 0.894
H -1.528 0.554 -0.192
H 2.914 0.018 0.188
H 2.075 1.138 1.247
H 2.130 1.256 -0.603
H -1.208 -2.779 0.782
H -1.131 -2.383 2.558
H -2.147 -1.584 1.425
```



Formula: C10H14BrN3O3PtSe4
Source: OMol25
Level of theory: ωB97M-V with the def2-TZVPD basis set

Properties
- Net charge: -2
- <S²>: 2.009
- Orbital gap (alpha / beta): 4.0319 / 5.0134 eV
- ΔE to the lowest compared entry with this formula, charge and spin: 2.6886 eV
- Multiplicity: 3
- LUMO level (alpha / beta): 4.30 / 4.28 eV

XYZ file:
```
36
C10H14BrN3O3PtSe4 | OMol25 | ωB97M-V with the def2-TZVPD basis set
Pt 0.075 -0.007 0.028
Se 0.135 -2.527 0.212
Se 2.172 -3.674 -0.163
Se 3.837 -1.993 -0.680
Se 2.640 0.004 -0.548
Br -3.490 1.051 3.192
C -3.897 0.791 1.357
C -5.207 0.905 0.930
N -5.576 0.744 -0.338
C -4.610 0.458 -1.216
C -3.263 0.320 -0.897
C -2.898 0.493 0.449
C -2.281 -0.009 -2.046
O -2.786 -0.116 -3.166
O -1.041 -0.152 -1.790
H -6.007 1.138 1.627
H -4.931 0.332 -2.242
H -1.804 0.398 0.779
N 0.014 5.012 -0.199
C 1.206 4.285 0.323
C 0.801 2.919 0.848
N 0.050 2.131 -0.123
C -1.093 2.857 -0.673
C -0.722 4.221 -1.228
H 0.306 5.962 -0.601
H -0.628 5.221 0.591
H 1.634 4.905 1.113
H 1.913 4.203 -0.502
H 0.192 3.029 1.749
H 1.691 2.359 1.140
H 0.673 1.833 -0.887
H -1.846 2.970 0.111
H -1.547 2.258 -1.459
H -1.609 4.798 -1.494
H -0.066 4.137 -2.094
O -0.563 0.093 1.734
```



Formula: C10H14N3OP
Source: OMol25
Level of theory: ωB97M-V with the def2-TZVPD basis set

Properties
- Net charge: +2
- Orbital gap: 6.9578 eV
- Structure (SMILES): CC1=[NH+]C(C)=[NH+][P@](=O)(c2ccccc2)N1
└──
Before The Flop In Poker One
Getting the right poker strategy pre-flop is even more important when you’re playing online poker at Bovada. You’re not going to have access to the same “tells” that you can pick up from live opponents, and those tells become more pronounced as you move towards that big showdown on the river. Instead, concentrate on choosing the right starting hands when you play Texas Hold’em online. It’s easy once you understand the basic concepts behind the game of poker.
Position Is Power
Concept No. 1: It’s usually better to act last when you play poker. When you’re sitting under the gun at a full-ring table, you have eight players waiting to pounce when you open the betting. The closer you get to the big blind, the fewer players you need to fold in order to take the blinds uncontested. That’s why it’s recommended to open a tighter range of hands from early position, and a wider range late.
Thanks to the power of math, we can calculate something close to an “optimal” range of starting hands (see Poker Hand Rankings here) while using a certain open-raise size. You can find hundreds of recommended ranges online; they’re not standard, but they tend to conform, especially from under the gun. Don’t worry about memorizing these ranges exactly. As long as you’re in the ballpark, it’s more important for you to understand the reasoning behind them.
Once you’ve got a feel for these opening ranges, you can work on pre-flop ranges for calling, 3-betting, 4-betting and so on. Then you can start worrying about other things you’ll run into when you play the great game of Texas Hold’em poker – flop strategy, for example. Get the simplest things correct first; work on your preflop ranges, and you’ll already be putting yourself in a better position to win those giant pots on later streets.